### Assignment
Now quote every line further down that contains the word "per".

### Input
FeIrNF2 (GGA+U, relaxed); magnetic moment = 4.34 μB/f.u.; raw total energy = -5.40 eV per atom; density = 6.74 Mg/m³
1.0
4.4780 0.0000 0.0000
0.0000 4.4780 0.0000
0.0000 0.0000 3.6868
Fe Ir N F
1 1 1 2
Direct
0.0000 0.0000 0.0000
0.5000 0.5000 0.5000

### Written answer
FeIrNF2 (GGA+U, relaxed); magnetic moment = 4.34 μB/f.u.; raw total energy = -5.40 eV per atom; density = 6.74 Mg/m³